Excerpt =
~~~
Material: Co2BMoP
Method: DFT, PBE
State: relaxed

Cell lengths 4.518, 4.575, 4.518 Å; angles 90.00, 90.00, 90.00 degrees
Site moments in Bohr magnetons follow the coordinates.
Positions (direct):
1 Co 0.000 0.000 0.500  1.39
2 Co 0.500 0.000 0.000  0.85
3 B 0.500 0.500 0.500  -0.03
4 Mo 0.000 0.000 0.000  -0.15
5 P 0.000 0.500 0.000  0.07

Output
final energy	-5.461	eV per atom
ΔE_f	189.6	kJ per mole of atoms
ΔE to the lowest computed polymorph	994.8	meV per atom
density of states at the Fermi level	8.49	states/eV/cell
~~~

What to do =
The reader should say how many lines of the lines further up hold the word "energy", as a bare number.

Worked solution =
1